Speedtest Plotter
September 19, 2018
I am supposed to have a 500 Mbps internet line at home. Last week it really didn’t feel like that (again). Pages would take ages to load, streams would stutter miserably or simply abort and downloading OS updates simply timed out. So I set out to measure my actual bandwidth over a longer period of time.
speedtest-cli #
Everybody probably knows sites like speedtest.net, speedof.me and the various speedtest sites hosted by ISPs.
There is a python tool that uses speedtest.net’s infrastructure to measure your internet bandwidth using a server close to you. It can display the results interactively and in JSON or CSV format.
Great! The CSV output looks simple enough:
$ speedtest-cli --csv-header && speedtest-cli --csv
Server ID,Sponsor,Server Name,Timestamp,Distance,Ping,Download,Upload,Share,IP Address
4886,Stadtwerke Neumünster GmbH,Neumunster,2018-09-19T19:04:04.573450Z,54.730473843645846,32.37,152433588.21095023,34932876.622469135,,X.X.X.X
It has a timestamp, a ping, down- and upload measurements and some metadata about the server used.
There are probably better tools out there, especially ones that measure your ping while you’re clogging the pipes to get ahold of phenomena like bufferbloat. But it’s still great to get an idea about your connection.
rinse and repeat #
To collect some measurements over a long period of time, you’ll need to run speedtest-cli
regular intervals. There are surely a number of ways to do that and the simplest would probably be
to just use a while true
loop with a sleep
I chose to use a Docker container with crond
running inside to allow for more precise scheduling.
It really is just an alpine container with speedtest-cli
installed, which execs crond
in the foreground and logs its measurements to the docker log. Start
the container on some server as close to your router as possible and let it do its thing for a few
hours or days.
You can find my project on GitHub.
what now? #
When you think you’ve had enough, run docker logs
+++
First-principles (PBE-GGA) data for a relaxed SrAcP2Rh5 crystal, as listed in Alexandria.

Unit cell a=4.138 b=4.138 c=10.977 alpha=90.00 beta=90.00 gamma=90.00
Atoms (fractional coordinates):
Sr  0.000  0.000  0.500
Rh  0.000  0.500  0.793
Rh  0.500  0.000  0.207
Rh  0.000  0.500  0.207
Rh  0.500  0.500  0.500
Rh  0.500  0.000  0.793
P  0.500  0.500  0.705
P  0.500  0.500  0.295
Ac  0.000  0.000  0.000

Summary:
- E_form: -644 meV/atom
- Space-group type: P4/mmm
- Total energy: -6.57 eV per atom


# 1
This record from Alexandria describes a relaxed KNpSb2 crystal. The functional is PBE.

Summary:
space-group type: No. 166
energy above the most stable polymorph in this dataset: 2.13 kcal/mol of atoms

Cell: 4.602 4.602 8.444 Å, 74.19 74.19 60.00°
Each line ends with the local moment (μB).
Fractional coordinates of all 4 atoms:
Sb 0.270 0.270 0.190  -0.11
Sb 0.730 0.730 0.810  -0.11
K 0.500 0.500 0.500  -0.01
Np 0.000 0.000 0.000  3.41

---

# 2
This record from Alexandria describes a relaxed Na2TmRe3O12 crystal. The functional is PBE.

Summary:
space-group type: No. 166

Cell: 7.592 7.592 7.592 Å, 58.30 58.30 58.30°
Each line ends with the local moment (μB).
Fractional coordinates of all 18 atoms:
O 0.351 0.929 0.929  -0.01
O 0.064 0.697 0.697  0.03
Re 0.000 0.000 0.500  0.15
Re 0.500 0.000 0.000  0.15
O 0.649 0.071 0.071  -0.01
O 0.929 0.929 0.351  -0.01
O 0.936 0.303 0.303  0.03
O 0.929 0.351 0.929  -0.01
O 0.697 0.697 0.064  0.03
Re 0.000 0.500 0.000  0.15
O 0.697 0.064 0.697  0.03
O 0.303 0.303 0.936  0.03
O 0.071 0.649 0.071  -0.01
Tm 0.000 0.000 0.000  0.00
Na 0.704 0.704 0.704  0.00
Na 0.296 0.296 0.296  0.00
O 0.071 0.071 0.649  -0.01
O 0.303 0.936 0.303  0.03

---

So what do the calculations give for total magnetization? Going down the list: 2.89, 0.67 μB/f.u..
So what do the calculations give for formation energy from raw total energies? Going down the list: -0.139, -1.856 eV/atom.
+++
Here the page continues >
and look at your data.
Wonderful. What now?
Plot it!
Since CSV is such a universal format, you could easily open the results.csv
in any tabular
calculation program and use their respective chart plugins - both Microsoft Excel and LibreOffice
Calc could easily handle that.
But that would feel repetitive as soon as you had to do it a second time for a second measurement series. Of course, there are tools to create graphs on the commandline! After a quick search I found exactly what I was looking for with gnuplot. I must admit, it did not feel intuitive at all but fortunately you only have to do this part once.
After a couple of stackoverflow answers and a few pages of documentation, this is what I came up with:
set title "Speedtest Results, acspl smoothing\n\
set xlabel "Timestamp [UTC]"
set xdata time
set timefmt "%Y-%m-%dT%H:%M:%S.*Z"
set xtics format "%Y-%m-%d\n%H:%M:%S" rotate by -30
set ylabel "Measured Speed"
set ytics format "%.2s %cBit/s" nomirror
set yrange [0:*]
set linetype 1 lw 2 lc rgb "royalblue"
set linetype 2 lw 2 lc rgb "orange"
set y2label "Ping"
set y2tics format "%.0f ms" nomirror
set y2range [0:100]
set grid
set datafile separator ","
set terminal png size 1280, 800
set output "results.png"
plot for [col=7:8] "results.csv" using 4:col title col sm acspl, \
'' using 4:6 title col axes x1y2 w points
examples #
Save your results in results.csv
and the above script in plotscript
. Then run
gnuplot ./plotscript
____________
Record 1
Here is a geometry-optimized CsLuFeSe3 structure from the Open Quantum Materials Database. Energies are from GGA-PBE.

Values from the calculation:
V = 29.413 A^3/atom
distance to the lowest polymorph of the same formula = 0.013 eV/atom

Cell and atoms, written as CIF:
```
data_CsLuFeSe3
_space_group_name_H-M_alt 'P 1'
_space_group_IT_number 1
_cell_length_a 10.6500
_cell_length_b 8.3588
_cell_length_c 8.3588
_cell_angle_alpha 28.32
_cell_angle_beta 90.00
_cell_angle_gamma 90.00
loop_
_space_group_symop_operation_xyz
'x,y,z'
loop_
_atom_site_label
_atom_site_type_symbol
_atom_site_fract_x
_atom_site_fract_y
_atom_site_fract_z
_atom_site_occupancy
Cs1 Cs 0.5000 0.2562 0.2562 1
Cs2 Cs 0.0000 0.7438 0.7438 1
Fe1 Fe 0.0000 0.4669 0.4669 1
Fe2 Fe 0.5000 0.5331 0.5331 1
Lu1 Lu 0.2500 0.0000 0.0000 1
Lu2 Lu 0.7500 0.0000 0.0000 1
Se1 Se 0.0000 0.0555 0.0555 1
Se2 Se 0.1911 0.3859 0.3859 1
Se3 Se 0.8089 0.3859 0.3859 1
Se4 Se 0.3089 0.6141 0.6141 1
Se5 Se 0.6911 0.6141 0.6141 1
Se6 Se 0.5000 0.9445 0.9445 1
```

=====

Record 2
Here is a geometry-optimized K2YAuBr6 structure from the Open Quantum Materials Database. Energies are from GGA-PBE.

Values from the calculation:
V = 35.729 A^3/atom
raw total energy = -35.61 eV/cell

Cell and atoms, written as CIF:
```
data_K2YAuBr6
_space_group_name_H-M_alt 'P 1'
_space_group_IT_number 1
_cell_length_a 7.9649
_cell_length_b 7.9649
_cell_length_c 7.9649
_cell_angle_alpha 60.00
_cell_angle_beta 60.00
_cell_angle_gamma 60.00
loop_
_space_group_symop_operation_xyz
'x,y,z'
loop_
_atom_site_label
_atom_site_type_symbol
_atom_site_fract_x
_atom_site_fract_y
_atom_site_fract_z
_atom_site_occupancy
Au1 Au 0.5000 0.5000 0.5000 1
Br1 Br 0.7523 0.2477 0.2477 1
Br2 Br 0.2477 0.7523 0.2477 1
Br3 Br 0.7523 0.7523 0.2477 1
Br4 Br 0.2477 0.2477 0.7523 1
Br5 Br 0.7523 0.2477 0.7523 1
Br6 Br 0.2477 0.7523 0.7523 1
K1 K 0.2500 0.2500 0.2500 1
K2 K 0.7500 0.7500 0.7500 1
Y1 Y 0.0000 0.0000 0.0000 1
```

=====

Record 3
Here is a geometry-optimized LuHgGe structure from the Open Quantum Materials Database. Energies are from GGA-PBE.

Values from the calculation:
V = 24.554 A^3/atom
raw total energy = -10.17 eV/cell

Cell and atoms, written as CIF:
```
data_LuHgGe
_space_group_name_H-M_alt 'P 1'
_space_group_IT_number 1
_cell_length_a 4.7053
_cell_length_b 4.7053
_cell_length_c 4.7053
_cell_angle_alpha 60.00
_cell_angle_beta 60.00
_cell_angle_gamma 60.00
loop_
_space_group_symop_operation_xyz
'x,y,z'
loop_
_atom_site_label
_atom_site_type_symbol
_atom_site_fract_x
_atom_site_fract_y
_atom_site_fract_z
_atom_site_occupancy
Ge1 Ge 0.0000 0.0000 0.0000 1
Hg1 Hg 0.2500 0.2500 0.2500 1
Lu1 Lu 0.7500 0.7500 0.7500 1
```

=====

Record 4
Here is a geometry-optimized DyHoBi2Se2 structure from the Open Quantum Materials Database. Energies are from GGA-PBE.

Values from the calculation:
V = 27.057 A^3/atom
raw total energy = -31.20 eV/cell

Cell and atoms, written as CIF:
```
data_DyHoBi2Se2
_space_group_name_H-M_alt 'P 1'
____________
and you’ll be rewarded with a graph:
Leave the container running for a day, apply a different smoothing function and you’ll end up with something that clearly shows some variation with the time of day:
But that is still nowhere near the promised 500 Mbps? Have you tried .. you know .. turning it off and on again?
A-ha! So a router reboot ‘fixed’ my slow connection? This is just the beginning of my debugging effort but visualizing the data definitely helped.
the project #
I’ll let the Docker container run for now. In the meantime you can take a look at the GitHub repository of this project:
It provides a nice makefile to ease many of the commands and everything is explained in the README.
And while you’re at it, read this wonderful article by @nikitonsky about modern bloat in programming languages and the web in general.
Yeah I know, using Docker for a simple scriptable task definitely falls into this category aswell. But the makefile provides a simple non-Docker approach, too. I promise!